Job >
Search the material further below for the word "mol" and type out each line that has it.

Material >
........
Computed, not measured: 2 unconnected molecules or ions with the total composition C7H17NO, with ωB97M-V/def2-TZVPD.

Results
E_LUMO: 1.0 eV
SMILES: C=CCCC[C@H](C)N.O
electronic energy: -11070.5069 eV
HOMO: -9.2 eV
energy relative to the best compared isomer or geometry (same formula, charge and spin): 253.89 kJ/mol

Geometry (Å):
C -0.635 -2.773 1.797
C -0.910 -1.380 1.087
C 0.334 -0.813 0.316
C 0.734 0.565 0.885
C 0.173 1.838 0.128
C -0.341 1.621 -1.213
C -0.201 2.451 -2.243
N -2.103 -1.289 0.185
H 0.107 -3.292 1.203
H -0.251 -2.632 2.810
H -1.590 -3.279 1.699
H -1.101 -0.653 1.866
H 1.128 -1.567 0.261
H 0.004 -0.902 -0.749
H 0.386 0.396 1.923
H 1.817 0.742 0.906
H -0.564 2.295 0.814
H 1.083 2.443 0.149
H -1.071 0.832 -1.396
H -0.716 2.407 -3.201
H 0.513 3.244 -2.294
H -2.058 -1.856 -0.650
H -3.010 -1.466 0.599
H 2.386 0.978 -0.940
H 2.825 1.318 -2.350
O 3.060 0.772 -1.594

How positive or negative is each atom? The Löwdin charges in e answer that: atom 1 (C): -0.045, atom 2 (C): -0.407, atom 3 (C): -0.185, atom 4 (C): -0.176, atom 5 (C): -0.199, atom 6 (C): -0.217, atom 7 (C): 0.003, atom 8 (N): 0.018, atom 9 (H): 0.056, atom 10 (H): 0.072, atom 11 (H): 0.060, atom 12 (H): 0.101, atom 13 (H): 0.103, atom 14 (H): 0.103, atom 15 (H): 0.103, atom 16 (H): 0.092, atom 17 (H): 0.125, atom 18 (H): 0.105, atom 19 (H): 0.092, atom 20 (H): 0.055, atom 21 (H): 0.046, atom 22 (H): 0.064, atom 23 (H): 0.062, atom 24 (H): -0.017, atom 25 (H): 0.034, atom 26 (O): -0.046

---

Computed, not measured: 2 unconnected molecules or ions with the total composition C7H17NO, with ωB97M-V/def2-TZVPD.

Results
E_LUMO: 0.8 eV
SMILES: CCN(C)C(C)=O.CC
electronic energy: -11069.6299 eV
HOMO: -9.4 eV
energy relative to the best compared isomer or geometry (same formula, charge and spin): 338.51 kJ/mol

Geometry (Å):
C -0.531 -2.272 -0.412
C -1.838 -2.644 0.007
C -0.982 0.143 -0.685
C 2.380 -1.528 0.092
C 1.261 -0.670 -0.544
O 1.748 0.334 -0.998
N -0.024 -0.845 -0.199
H 0.226 -3.078 -0.063
H -0.349 -2.375 -1.658
H -2.705 -2.196 -0.550
H -1.929 -2.591 0.995
H -1.166 -0.060 -1.704
H 2.957 -2.008 -0.645
H -2.138 -3.628 -0.432
H -2.052 0.086 -0.375
H -0.680 1.085 -0.569
H 3.014 -0.964 0.674
H 1.872 -2.355 0.701
C -0.294 2.836 1.388
C 0.400 3.671 0.218
H 0.062 3.161 2.398
H -1.280 2.709 1.235
H 0.086 1.750 1.273
H 0.425 3.129 -0.661
H 1.424 3.625 0.520
H 0.114 4.684 -0.006

How positive or negative is each atom? The Löwdin charges in e answer that: atom 1 (C): -0.241, atom 2 (C): -0.132, atom 3 (C): -0.048, atom 4 (C): 0.009, atom 5 (C): -0.539, atom 6 (O): 0.066, atom 7 (N): -0.082, atom 8 (H): 0.128, atom 9 (H): 0.183, atom 10 (H): 0.098, atom 11 (H): 0.041, atom 12 (H): 0.082, atom 13 (H): 0.062, atom 14 (H): 0.107, atom 15 (H): 0.110, atom 16 (H): 0.007, atom 17 (H): 0.051, atom 18 (H): 0.084, atom 19 (C): -0.128, atom 20 (C): -0.126, atom 21 (H): 0.076, atom 22 (H): -0.001, atom 23 (H): 0.073, atom 24 (H): 0.015, atom 25 (H): 0.051, atom 26 (H): 0.055

---

Computed, not measured: C7H17NO2 in the gas phase, with ωB97M-V/def2-TZVPD.

Results
E_LUMO: 0.8 eV
SMILES: CO[C@@H](N)C(C)(C)[C@@H](C)O
electronic energy: -13118.7344 eV
HOMO: -9.0 eV
energy relative to the best compared isomer or geometry (same formula, charge and spin): 193.59 kJ/mol

Geometry (Å):
C -0.182 -0.023 0.558
C 0.277 0.456 -0.785
C 1.095 -1.176 0.892
C -1.967 1.533 -1.590
C -1.489 -0.819 0.512
C -0.200 1.021 1.669
C 1.367 -2.273 -0.126
N 1.589 1.026 -0.879
O -0.679 1.738 -1.078
O 2.294 -0.525 1.239
H 2.523 0.042 0.470
H 0.099 -0.256 -1.593
H 0.719 -1.634 1.812
H 1.555 1.923 -0.393
H 1.759 1.264 -1.854
H -2.073 0.573 -2.118
H -2.721 1.599 -0.793
H -2.209 2.333 -2.303
H -1.542 -1.476 -0.359
H -1.603 -1.430 1.414
H -2.353 -0.153 0.471
H -1.208 1.383 1.890
H 0.377 1.926 1.462
H 0.203 0.638 2.611
H 2.029 -3.026 0.315
H 1.889 -1.887 -1.006
H 0.451 -2.778 -0.439
........

Reply >
energy relative to the best compared isomer or geometry (same formula, charge and spin): 253.89 kJ/mol
energy relative to the best compared isomer or geometry (same formula, charge and spin): 338.51 kJ/mol
energy relative to the best compared isomer or geometry (same formula, charge and spin): 193.59 kJ/mol